001 Construction plans will include the following information:
001.01 The name or title of the project.
001.02 A vicinity map of the area around the project, with streets, highways, water bodies, and other landmarks shown, as necessary, to identify the location.
001.03 For sanitary sewer additions, the latitude/longitude location of the receiving manhole or furthest downstream manhole will be provided. For WWTF, the latitude/longitude of the head works or first treatment unit will be provided.
001.04 The scale of the drawings and a north arrow will be shown. The locations of soil borings, benchmarks, property lines, easements, and other datum will be shown.
001.05 The construction plans will include elevation, plan, detail, section, and supplemental drawings that, together with the specifications, completely describe the design of the proposed wastewater works.
001.06 Plans for upgrades to WWTF will show how the proposed project relates to the other treatment units in the existing facility. Projects to add additional lagoon cells to a lagoon system will show the existing and proposed control structures, piping, and discharge structures and identify which cells will be used as primary cells.
001.07 Plans for WWTF will include a hydraulic profile of the facility. Schematic flow diagrams showing the flow direction of wastewater, sludge, potable and non-potable water lines, chemical feed lines, and air supply lines through the treatment units will be provided for mechanical WWTF.
001.08 Plans for WWTF will show the normal high and low water levels of the receiving stream, the 100-year flood elevation, and the seasonal high ground water level.
001.09 Plans for WWTF will show the natural drainage ways around the treatment facility.
=====
YAl3Ni, optimized geometry, DFT GGA-PBE; formation energy = -0.599 eV/atom; E = -5.296 eV per atom
1.0
8.157 0.000 0.000
0.000 4.051 0.000
0.000 0.000 10.647
Y Al Ni
4 12 4
direct
0.185 0.250 0.009
0.315 0.750 0.509
0.685 0.250 0.491
0.815 0.750 0.991
0.055 0.250 0.583
0.115 0.750 0.786
0.144 0.750 0.222
0.356 0.250 0.722
0.385 0.250 0.286
0.445 0.750 0.083
0.555 0.250 0.917
0.615 0.750 0.714
0.644 0.750 0.278
0.856 0.250 0.778
0.885 0.250 0.214
0.945 0.750 0.417
0.106 0.250 0.357
0.394 0.750 0.857
0.606 0.250 0.143
0.894 0.750 0.643

---

Na9Ca2Nb4Si6P3O36, optimized geometry, DFT GGA-PBE; energy above the lowest structure with this stoichiometry = 0.000 kcal/mol of atoms; formation energy = -2.914 eV/atom; E = -7.222 eV per atom
1.0
9.199 0.000 0.000
0.011 22.520 0.000
4.561 0.039 23.868
Na Ca Nb Si P O
54 12 24 36 18 216
direct
0.000 0.000 0.000
0.000 0.428 0.355
0.000 0.598 0.664
0.021 0.248 0.674
0.039 0.096 0.327
0.081 0.922 0.443
0.105 0.247 0.457
0.113 0.838 0.786
0.124 0.762 0.119
0.142 0.599 0.443
0.153 0.335 0.776
0.154 0.421 0.099
0.171 0.417 0.897
0.209 0.598 0.237
0.210 0.248 0.219
0.223 0.679 0.560
0.226 0.172 0.559
0.235 0.748 0.879
0.256 0.090 0.899
0.281 0.757 0.672
0.298 0.918 0.013
0.316 0.584 0.998
0.328 0.009 0.334
0.336 0.102 0.665
0.356 0.516 0.337
0.412 0.100 0.445
0.445 0.760 0.464
0.452 0.339 0.110
0.452 0.837 0.112
0.459 0.593 0.786
0.480 0.432 0.433
0.509 0.430 0.221
0.536 0.169 0.892
0.558 0.100 0.238
0.575 0.746 0.221
0.578 0.675 0.899
0.585 0.930 0.555
0.652 0.502 0.669
0.657 0.930 0.350
0.669 0.007 0.673
0.677 0.083 0.991
0.692 0.423 0.019
0.751 0.082 0.786
0.770 0.343 0.449
0.772 0.916 0.105
0.796 0.745 0.793
0.799 0.843 0.449
0.805 0.419 0.762
0.844 0.423 0.560
0.878 0.175 0.223
0.878 0.674 0.233
0.890 0.249 0.881
0.979 0.507 0.004
0.996 0.912 0.679
0.113 0.688 0.781
0.116 0.190 0.780
0.219 0.819 0.563
0.339 0.162 0.335
0.346 0.659 0.332
0.450 0.491 0.109
0.564 0.018 0.889
0.664 0.362 0.667
0.774 0.993 0.452
0.776 0.488 0.453
0.994 0.854 0.009
0.995 0.355 0.009
0.002 0.158 0.008
0.114 0.488 0.782
0.121 0.989 0.783
0.213 0.023 0.560
0.227 0.318 0.564
0.229 0.529 0.556
0.332 0.857 0.334
0.333 0.356 0.337
0.437 0.987 0.114
0.444 0.194 0.116
0.448 0.686 0.114
0.553 0.317 0.891
0.558 0.528 0.894
0.561 0.825 0.892
0.662 0.156 0.671
0.666 0.651 0.673
0.670 0.861 0.667
0.775 0.192 0.449
0.782 0.692 0.448
0.884 0.528 0.229
0.887 0.318 0.225
0.896 0.821 0.223
0.898 0.027 0.226
0.996 0.658 0.003
0.005 0.090 0.683
0.031 0.254 0.337
0.037 0.425 0.656
0.089 0.925 0.127
0.102 0.262 0.106
0.130 0.421 0.463
0.141 0.589 0.116
0.176 0.421 0.228
0.207 0.591 0.883
0.236 0.753 0.234
0.248 0.090 0.213
0.303 0.758 0.003
0.312 0.592 0.681
0.326 0.922 0.659
0.339 0.090 0.020
0.416 0.093 0.783
0.438 0.257 0.438
0.454 0.425 0.798
0.476 0.758 0.768
0.534 0.256 0.235
0.572 0.089 0.548
0.578 0.754 0.574
0.601 0.924 0.226
0.636 0.760 0.337
0.651 0.585 0.015
0.689 0.422 0.321
0.700 0.258 0.003
0.732 0.089 0.115
0.770 0.924 0.792
=====
001.10 The location of all wells, water treatment plants, water storage reservoirs, and water mains in the construction area will be shown. Where a wastewater lagoon, lift station, or mechanical WWTF is proposed, all wells within 1000 feet will be shown. All wells within 50 feet of a proposed sanitary sewer will be shown. Community public water system wells will be identified as such.
[Between two parts of the text: calculated crystals]
one:
First-principles (GGA-PBE) data for a geometry-optimized LiCuPO4 structure, as listed in the Materials Project.

Properties
Crystal system: orthorhombic
Theoretical density, g cm⁻³: 3.800

a = 4.742 Å, b = 6.038 Å, c = 10.102 Å
α = 90.00°, β = 90.00°, γ = 90.00°
Element x y z (fractional)
O 0.788 0.955 0.667
Cu 0.478 0.750 0.782
O 0.788 0.545 0.667
P 0.075 0.250 0.404
O 0.288 0.045 0.833
O 0.212 0.455 0.333
O 0.802 0.750 0.453
O 0.288 0.455 0.833
O 0.302 0.250 0.047
Cu 0.022 0.750 0.282
O 0.212 0.045 0.333
O 0.750 0.250 0.901
O 0.750 0.250 0.401
P 0.575 0.750 0.096
O 0.250 0.750 0.099
Li 0.500 0.000 0.500
O 0.250 0.750 0.599
P 0.925 0.750 0.596
O 0.198 0.250 0.547
Cu 0.978 0.250 0.718
O 0.712 0.955 0.167
Cu 0.522 0.250 0.218
O 0.698 0.750 0.953
P 0.425 0.250 0.904
Li 0.500 0.500 0.500
Li 0.000 0.500 0.000
O 0.712 0.545 0.167
Li 0.000 0.000 0.000

***

two:
First-principles (GGA-PBE) data for a geometry-optimized LiCuPO4 structure, as listed in the Materials Project.

Properties
Crystal system: hexagonal
Theoretical density, g cm⁻³: 2.918

a = 10.811 Å, b = 10.811 Å, c = 11.164 Å
α = 90.00°, β = 90.00°, γ = 120.00°
Element x y z (fractional)
Cu 0.000 0.765 0.333
Li 0.500 0.500 0.667
O 0.105 0.224 0.203
P 0.750 0.250 0.167
O 0.413 0.611 0.908
O 0.416 0.295 0.749
Li 0.000 0.000 0.833
O 0.050 0.682 0.730
O 0.318 0.950 0.604
O 0.682 0.050 0.604
O 0.198 0.611 0.092
Li 0.500 0.000 0.681
O 0.802 0.389 0.092
O 0.776 0.882 0.537
O 0.416 0.122 0.918
O 0.389 0.802 0.241
O 0.611 0.198 0.241
P 0.250 0.750 0.167
O 0.776 0.895 0.130
P 0.250 0.500 0.500
O 0.882 0.105 0.870
P 0.000 0.259 0.833
Cu 0.753 0.247 0.667
O 0.878 0.584 0.416
P 0.259 0.000 0.500
O 0.368 0.050 0.396
O 0.587 0.198 0.759
O 0.632 0.682 0.270
O 0.895 0.118 0.463
O 0.705 0.122 0.082
O 0.895 0.776 0.203
O 0.950 0.632 0.937
Li 0.000 0.500 0.652
O 0.950 0.318 0.730
O 0.389 0.587 0.425
Li 0.000 0.500 0.333
O 0.118 0.895 0.870
P 0.500 0.750 0.833
O 0.122 0.416 0.416
O 0.584 0.705 0.749
O 0.413 0.802 0.759
O 0.295 0.416 0.584
Li 0.000 0.000 0.500
O 0.224 0.118 0.537
O 0.878 0.295 0.251
Cu 0.000 0.235 0.333
O 0.882 0.776 0.797
O 0.802 0.413 0.575
Cu 0.507 0.753 0.333
Li 0.500 0.500 0.986
Cu 0.235 0.000 0.000
O 0.224 0.105 0.130
O 0.705 0.584 0.584
O 0.682 0.632 0.063
O 0.050 0.368 0.937
Cu 0.765 0.765 0.667
Cu 0.235 0.235 0.667
P 0.000 0.741 0.833
P 0.741 0.741 0.167
Cu 0.247 0.493 0.000
Cu 0.247 0.753 0.667
Li 0.000 0.000 0.167
O 0.632 0.950 0.396
O 0.122 0.705 0.251
P 0.741 0.000 0.500
Cu 0.753 0.507 0.000
Cu 0.493 0.247 0.333
O 0.368 0.318 0.270
O 0.584 0.878 0.918
O 0.118 0.224 0.797
Li 0.500 0.000 0.000
Cu 0.765 0.000 0.000
O 0.198 0.587 0.575
P 0.259 0.259 0.167
Li 0.500 0.500 0.348
O 0.295 0.878 0.082
P 0.750 0.500 0.500
O 0.318 0.368 0.063
P 0.500 0.250 0.833
O 0.611 0.413 0.425
Li 0.500 0.000 0.319
Li 0.000 0.500 0.014
O 0.105 0.882 0.463
O 0.587 0.389 0.908

***

three:
First-principles (GGA-PBE) data for a geometry-optimized LiCuPO4 structure, as listed in the Materials Project.
001.11 Plans for lift stations will show the seasonal high ground water level and the 100-year flood elevation at the site.
001.12 Extensions or additions to sanitary sewer systems will show the location of the receiving manhole and identify the receiving WWTF.
**Someone pasted records of crystals at this point:**
<<<
No. 1
# Ho3Ru2

A relaxed structure of Ho3Ru2 (PBE, the Materials Project database).

space group: No. 176
calculated formation energy: -0.30 eV/atom

a = 4.722 Å, b = 7.562 Å, c = 7.562 Å
α = 120.00°, β = 90.00°, γ = 90.00°
Fractional positions:
Ru 0.250 0.333 0.667
Ru 0.500 0.000 0.000
Ru 0.000 0.000 0.000
Ru 0.750 0.667 0.333
Ho 0.750 0.079 0.383
Ho 0.250 0.383 0.305
Ho 0.250 0.695 0.079
Ho 0.750 0.305 0.921
Ho 0.750 0.617 0.695
Ho 0.250 0.921 0.617



No. 2
# Ho5Ru2

A relaxed structure of Ho5Ru2 (PBE, the Materials Project database).

space group: No. 15
calculated formation energy: -0.37 eV/atom

a = 6.302 Å, b = 7.268 Å, c = 8.443 Å
α = 96.67°, β = 111.91°, γ = 90.00°
Fractional positions:
Ho 0.209 0.416 0.187
Ho 0.206 0.685 0.565
Ho 0.359 0.185 0.565
Ho 0.978 0.916 0.187
Ho 0.419 0.750 0.000
Ho 0.791 0.584 0.813
Ho 0.022 0.084 0.813
Ho 0.581 0.250 0.000
Ho 0.794 0.315 0.435
Ho 0.641 0.815 0.435
Ru 0.178 0.424 0.780
Ru 0.603 0.924 0.780
Ru 0.822 0.576 0.220
Ru 0.397 0.076 0.220



No. 3
# HoSiRu

A relaxed structure of HoSiRu (PBE, the Materials Project database).

space group: No. 62
calculated formation energy: -0.84 eV/atom

a = 4.321 Å, b = 6.972 Å, c = 7.102 Å
α = 90.00°, β = 90.00°, γ = 90.00°
Fractional positions:
Si 0.250 0.303 0.106
Si 0.250 0.803 0.394
Si 0.750 0.197 0.606
Si 0.750 0.697 0.894
Ho 0.250 0.486 0.687
Ho 0.750 0.514 0.313
Ho 0.750 0.014 0.187
Ho 0.250 0.986 0.813
Ru 0.750 0.847 0.567
Ru 0.250 0.653 0.067
Ru 0.250 0.153 0.433
Ru 0.750 0.347 0.933



No. 4
# HoSi2Ru2

A relaxed structure of HoSi2Ru2 (PBE, the Materials Project database).

space group: No. 139
calculated formation energy: -0.91 eV/atom

a = 4.183 Å, b = 4.183 Å, c = 5.611 Å
α = 111.89°, β = 111.89°, γ = 90.00°
Fractional positions:
Si 0.369 0.369 0.737
Si 0.631 0.631 0.263
Ru 0.250 0.750 0.500
Ru 0.750 0.250 0.500
Ho 0.000 0.000 0.000



No. 5
# HoSnRu2

A relaxed structure of HoSnRu2 (PBE, the Materials Project database).

space group: No. 225
calculated formation energy: -0.38 eV/atom

a = 4.669 Å, b = 4.669 Å, c = 4.669 Å
α = 60.00°, β = 60.00°, γ = 60.00°
Fractional positions:
Ru 0.000 0.000 0.000
Ru 0.500 0.500 0.500
Ho 0.250 0.250 0.250
Sn 0.750 0.750 0.750



No. 6
# HoTmRu2

A relaxed structure of HoTmRu2 (PBE, the Materials Project database).

space group: No. 225
calculated formation energy: -0.39 eV/atom

a = 4.764 Å, b = 4.764 Å, c = 4.764 Å
α = 60.00°, β = 60.00°, γ = 60.00°
Fractional positions:
Ho 0.500 0.500 0.500
Ru 0.750 0.750 0.750
Ru 0.250 0.250 0.250
Tm 0.000 0.000 0.000



No. 7
# YHoRu2

A relaxed structure of YHoRu2 (PBE, the Materials Project database).

space group: No. 225
calculated formation energy: -0.32 eV/atom

a = 4.812 Å, b = 4.812 Å, c = 4.812 Å
α = 60.00°, β = 60.00°, γ = 60.00°
Fractional positions:
Ru 0.750 0.750 0.750
Ru 0.250 0.250 0.250
Y 0.000 0.000 0.000
Ho 0.500 0.500 0.500



No. 8
# Ho2ZnRu

A relaxed structure of Ho2ZnRu (PBE, the Materials Project database).

space group: No. 225
>>>
**The piece goes on:**
001.13 Plans for sanitary sewers will include plan and profile drawings showing the continuous elevation of the ground surface, the station numbers, the pipe inverts at each manhole, and the diameter, length, pipe material (if specified), and slope of each sewer segment.
002 The specifications will include the following information:
002.01 The name or title of the project.
002.02 Specifications will include all information not shown on the drawings needed to describe the quality of construction materials, the operating characteristics of mechanical equipment, the standards of workmanship, the fabrication of the project, and the testing requirements for new construction.
002.03 Where construction on existing wastewater works will occur, the specifications will describe the steps that the contractor will follow to maintain operation of the wastewater works during construction.
003 Standard Specifications and Plate Drawings.
003.01 Municipalities and engineering firms may reference standard specifications and plate drawings for the design of sanitary sewers. Municipalities or engineering firms that intend to use standard specifications and plate drawings will submit copies to the Department for review and receive a notice of approval prior to using them for actual projects.
003.02 Where standard specifications and plate drawings are used, the construction plans or bidding documents will contain a statement that all construction will be in accordance with the standard specifications, as adopted or revised on a certain date. No additional submittal of specifications will normally be required, although special supplements to the standard specifications may be required for specific projects.
003.03 Standard specifications and standard plate drawings will be properly signed and sealed by a professional engineer.
Enabling Legislation: Neb. Rev. Stat. ยง81-1504(10)
Legal Citation: Title 123, Ch. 8, Nebraska Department of Environment and Energy